== Activity ==
The reader should write out the lines underneath without altering anything.

== Given ==
........
1.
54
Properties=species:S:1:pos:R:3:forces:R:3 method="wB97M-V/def2-TZVPD" smiles="COC(=O)OC.COC(=O)OC.ClC(Cl)Cl.ClC(Cl)Cl.CC(C)=O.CC(C)=O" e_homo_ev=-9.5578 max_force_ev_per_a=4.58 orbital_gap_ev=9.9187 mol_weight_g_mol=535.1
C -5.812559 -0.753131 -2.924016 0.3 0.1 0.3
O -5.987443 0.587182 -3.364956 0.5 1.0 -1.4
C -5.430200 0.957978 -4.533412 1.7 -1.5 -3.0
O -4.673478 0.307896 -5.305907 -2.3 1.5 3.0
O -5.873090 2.176480 -4.847880 -1.2 0.2 3.1
C -5.517731 2.831185 -5.994311 1.6 -0.8 -3.0
H -6.516703 -1.400621 -3.446534 0.1 -0.1 0.1
H -6.030311 -0.670747 -1.859168 -0.1 -0.4 -0.1
H -4.778542 -1.071434 -3.056695 -0.1 -0.1 -0.1
H -4.471436 2.625087 -6.219895 0.2 0.0 0.0
H -5.631582 3.910542 -6.094915 -0.5 -0.1 1.2
H -6.055964 2.375252 -6.825280 -0.2 0.1 -0.2
C 2.003263 0.657863 -5.867334 0.8 -1.2 0.8
O 2.949055 1.676577 -6.204261 0.0 1.1 -0.1
C 3.931445 1.984590 -5.341315 1.3 -3.4 2.7
O 4.149264 1.358945 -4.257513 -0.9 2.6 -3.4
O 4.755192 2.858111 -5.925599 -0.3 0.8 -0.1
C 5.975151 3.297905 -5.296292 0.3 -1.0 1.4
H 2.551994 -0.279775 -5.778743 0.1 -0.1 0.1
H 1.285094 0.464494 -6.664163 0.1 0.9 0.0
H 1.543305 0.811702 -4.891182 -0.1 0.4 -0.2
H 6.292436 4.314921 -5.526702 -0.7 -0.1 -0.7
H 6.785572 2.599977 -5.506572 -0.1 0.0 -0.5
H 5.925058 3.247620 -4.208600 -0.6 0.0 0.1
Cl 0.157921 -2.771818 2.869054 0.1 0.0 0.1
C -0.660684 -1.265583 2.490110 0.3 0.4 -0.4
Cl -2.323880 -1.316989 3.013140 -0.4 0.0 0.0
Cl -0.526479 -0.921742 0.740829 -0.1 -0.1 0.3
H -0.186305 -0.426862 2.999640 0.1 -0.4 0.0
Cl 4.306824 0.829095 4.435184 0.1 0.3 0.7
C 4.241006 1.270519 6.166928 -0.4 -0.3 0.2
Cl 2.889438 0.414686 6.961516 0.3 0.0 -0.2
Cl 4.031974 2.997449 6.444268 0.2 0.0 -0.3
H 5.150906 0.952788 6.676079 -0.1 0.1 -0.4
C 2.597861 5.681803 0.746214 -0.5 1.0 1.5
C 1.483672 5.901723 1.834300 0.8 0.4 -0.7
C 1.496865 7.245192 2.571076 0.4 -0.2 -0.5
O 0.625036 5.091325 2.025850 -0.4 -0.5 0.2
H 3.009745 4.673211 0.780687 -0.4 0.1 -0.3
H 3.381286 6.407725 0.963868 0.3 -0.2 0.0
H 2.179107 6.014623 -0.203509 -0.1 -0.5 -0.2
H 2.067699 7.953626 1.970771 -0.2 0.2 0.0
H 2.045640 7.178633 3.510504 -0.1 -0.3 0.1
H 0.485578 7.603118 2.764178 0.1 -0.1 0.0
C -1.703053 -10.890745 5.246616 0.8 -0.3 0.2
C -2.222588 -10.033540 6.361446 -0.3 0.8 -2.2
C -1.540962 -8.705756 6.649204 -0.6 -0.6 0.9
O -3.324984 -10.294654 6.756341 -0.6 0.0 1.3
H -0.615112 -10.902757 5.180791 0.0 -0.2 0.1
H -2.055904 -10.435331 4.321300 -0.2 0.0 -0.1
H -2.135432 -11.882875 5.376252 0.2 0.0 -0.3
H -0.775720 -8.944960 7.387646 0.3 0.4 0.0
H -2.322601 -8.105101 7.114325 0.3 0.2 0.1
H -1.124644 -8.185400 5.786637 0.1 -0.4 0.0

***

2.
40
Properties=species:S:1:pos:R:3:forces:R:3 method="wB97M-V/def2-TZVPD" e_homo_ev="-6.9278 / -8.1274" max_force_ev_per_a=2.54 orbital_gap_ev="7.4629 / 8.4807" spin_multiplicity=4 mol_weight_g_mol=302.2
C 0.381154 -3.440478 -1.224507 0.2 -0.3 0.1
C 1.424256 -2.548233 -1.496021 -0.3 -0.1 -0.1
C 1.552371 -1.363425 -0.763138 -0.3 -0.9 -0.2
C 0.648513 -1.108942 0.278734 -0.4 -0.5 -0.1
C -0.390605 -2.007321 0.553970 0.4 -0.4 -0.5
C -0.511988 -3.182818 -0.180761 0.1 -0.1 -0.2
C 2.682578 -0.426859 -1.083690 0.2 0.3 0.6
C 2.305035 0.998599 -1.495660 -0.7 0.6 -0.2
N 1.024172 1.536504 -0.883169 0.1 0.3 -0.3
Co 0.729138 0.670452 1.018525 1.8 0.7 -0.1
C -1.373096 -1.630657 1.624249 0.2 1.0 0.5
P -1.553907 0.199407 1.436969 -0.9 -0.8 -2.2
H 2.150293 -2.768437 -2.287359 -0.3 0.0 0.2
H -1.296545 -3.889279 0.089176 0.1 0.0 -0.3
H 0.293983 -4.374026 -1.796541 0.0 0.5 0.2
H -0.994071 -1.797592 2.641013 0.0 -0.2 -0.2
H -2.366705 -2.054137 1.548053 -0.1 -0.5 -0.1
H 3.311214 -0.348878 -0.188339 -0.1 0.0 -0.1
H 3.298614 -0.838384 -1.875607 0.1 -0.2 -0.2
H 3.100294 1.693494 -1.201164 -0.2 -0.3 0.0
C -2.503508 0.739126 2.881564 -0.2 0.2 0.1
C -2.786516 0.248346 0.112492 -0.8 -0.2 0.4
H 2.193690 1.083783 -2.596486 0.0 -0.1 0.4
C -0.148475 1.248677 -1.736715 0.4 0.0 0.0
C 1.142492 3.001251 -0.720761 0.5 0.0 -0.7
H 0.216108 0.719370 2.518168 0.4 1.9 1.1
H -0.025602 1.714037 -2.724051 0.0 0.0 0.0
........

== Written answer ==
1.
54
Properties=species:S:1:pos:R:3:forces:R:3 method="wB97M-V/def2-TZVPD" smiles="COC(=O)OC.COC(=O)OC.ClC(Cl)Cl.ClC(Cl)Cl.CC(C)=O.CC(C)=O" e_homo_ev=-9.5578 max_force_ev_per_a=4.58 orbital_gap_ev=9.9187 mol_weight_g_mol=535.1
C -5.812559 -0.753131 -2.924016 0.3 0.1 0.3
O -5.987443 0.587182 -3.364956 0.5 1.0 -1.4
C -5.430200 0.957978 -4.533412 1.7 -1.5 -3.0
O -4.673478 0.307896 -5.305907 -2.3 1.5 3.0
O -5.873090 2.176480 -4.847880 -1.2 0.2 3.1
C -5.517731 2.831185 -5.994311 1.6 -0.8 -3.0
H -6.516703 -1.400621 -3.446534 0.1 -0.1 0.1
H -6.030311 -0.670747 -1.859168 -0.1 -0.4 -0.1
H -4.778542 -1.071434 -3.056695 -0.1 -0.1 -0.1
H -4.471436 2.625087 -6.219895 0.2 0.0 0.0
H -5.631582 3.910542 -6.094915 -0.5 -0.1 1.2
H -6.055964 2.375252 -6.825280 -0.2 0.1 -0.2
C 2.003263 0.657863 -5.867334 0.8 -1.2 0.8
O 2.949055 1.676577 -6.204261 0.0 1.1 -0.1
C 3.931445 1.984590 -5.341315 1.3 -3.4 2.7
O 4.149264 1.358945 -4.257513 -0.9 2.6 -3.4
O 4.755192 2.858111 -5.925599 -0.3 0.8 -0.1
C 5.975151 3.297905 -5.296292 0.3 -1.0 1.4
H 2.551994 -0.279775 -5.778743 0.1 -0.1 0.1
H 1.285094 0.464494 -6.664163 0.1 0.9 0.0
H 1.543305 0.811702 -4.891182 -0.1 0.4 -0.2
H 6.292436 4.314921 -5.526702 -0.7 -0.1 -0.7
H 6.785572 2.599977 -5.506572 -0.1 0.0 -0.5
H 5.925058 3.247620 -4.208600 -0.6 0.0 0.1
Cl 0.157921 -2.771818 2.869054 0.1 0.0 0.1
C -0.660684 -1.265583 2.490110 0.3 0.4 -0.4
Cl -2.323880 -1.316989 3.013140 -0.4 0.0 0.0
Cl -0.526479 -0.921742 0.740829 -0.1 -0.1 0.3
H -0.186305 -0.426862 2.999640 0.1 -0.4 0.0
Cl 4.306824 0.829095 4.435184 0.1 0.3 0.7
C 4.241006 1.270519 6.166928 -0.4 -0.3 0.2
Cl 2.889438 0.414686 6.961516 0.3 0.0 -0.2
Cl 4.031974 2.997449 6.444268 0.2 0.0 -0.3
H 5.150906 0.952788 6.676079 -0.1 0.1 -0.4
C 2.597861 5.681803 0.746214 -0.5 1.0 1.5
C 1.483672 5.901723 1.834300 0.8 0.4 -0.7
C 1.496865 7.245192 2.571076 0.4 -0.2 -0.5
O 0.625036 5.091325 2.025850 -0.4 -0.5 0.2
H 3.009745 4.673211 0.780687 -0.4 0.1 -0.3
H 3.381286 6.407725 0.963868 0.3 -0.2 0.0
H 2.179107 6.014623 -0.203509 -0.1 -0.5 -0.2
H 2.067699 7.953626 1.970771 -0.2 0.2 0.0
H 2.045640 7.178633 3.510504 -0.1 -0.3 0.1
H 0.485578 7.603118 2.764178 0.1 -0.1 0.0
C -1.703053 -10.890745 5.246616 0.8 -0.3 0.2
C -2.222588 -10.033540 6.361446 -0.3 0.8 -2.2
C -1.540962 -8.705756 6.649204 -0.6 -0.6 0.9
O -3.324984 -10.294654 6.756341 -0.6 0.0 1.3
H -0.615112 -10.902757 5.180791 0.0 -0.2 0.1
H -2.055904 -10.435331 4.321300 -0.2 0.0 -0.1
H -2.135432 -11.882875 5.376252 0.2 0.0 -0.3
H -0.775720 -8.944960 7.387646 0.3 0.4 0.0
H -2.322601 -8.105101 7.114325 0.3 0.2 0.1
H -1.124644 -8.185400 5.786637 0.1 -0.4 0.0

***

2.
40
Properties=species:S:1:pos:R:3:forces:R:3 method="wB97M-V/def2-TZVPD" e_homo_ev="-6.9278 / -8.1274" max_force_ev_per_a=2.54 orbital_gap_ev="7.4629 / 8.4807" spin_multiplicity=4 mol_weight_g_mol=302.2
C 0.381154 -3.440478 -1.224507 0.2 -0.3 0.1
C 1.424256 -2.548233 -1.496021 -0.3 -0.1 -0.1
C 1.552371 -1.363425 -0.763138 -0.3 -0.9 -0.2
C 0.648513 -1.108942 0.278734 -0.4 -0.5 -0.1
C -0.390605 -2.007321 0.553970 0.4 -0.4 -0.5
C -0.511988 -3.182818 -0.180761 0.1 -0.1 -0.2
C 2.682578 -0.426859 -1.083690 0.2 0.3 0.6
C 2.305035 0.998599 -1.495660 -0.7 0.6 -0.2
N 1.024172 1.536504 -0.883169 0.1 0.3 -0.3
Co 0.729138 0.670452 1.018525 1.8 0.7 -0.1
C -1.373096 -1.630657 1.624249 0.2 1.0 0.5
P -1.553907 0.199407 1.436969 -0.9 -0.8 -2.2
H 2.150293 -2.768437 -2.287359 -0.3 0.0 0.2
H -1.296545 -3.889279 0.089176 0.1 0.0 -0.3
H 0.293983 -4.374026 -1.796541 0.0 0.5 0.2
H -0.994071 -1.797592 2.641013 0.0 -0.2 -0.2
H -2.366705 -2.054137 1.548053 -0.1 -0.5 -0.1
H 3.311214 -0.348878 -0.188339 -0.1 0.0 -0.1
H 3.298614 -0.838384 -1.875607 0.1 -0.2 -0.2
H 3.100294 1.693494 -1.201164 -0.2 -0.3 0.0
C -2.503508 0.739126 2.881564 -0.2 0.2 0.1
C -2.786516 0.248346 0.112492 -0.8 -0.2 0.4
H 2.193690 1.083783 -2.596486 0.0 -0.1 0.4
C -0.148475 1.248677 -1.736715 0.4 0.0 0.0
C 1.142492 3.001251 -0.720761 0.5 0.0 -0.7
H 0.216108 0.719370 2.518168 0.4 1.9 1.1
H -0.025602 1.714037 -2.724051 0.0 0.0 0.0